The Moment We Learned Our Home Study Results
== Here the text breaks off for materials data ==
********
DFT (PBE-GGA) results for a geometry-optimized Na3Fe2Se4 structure. Values from VASP.

Cell and atoms, written as Quantum ESPRESSO input:
```
&SYSTEM
  ibrav = 0, nat = 36, ntyp = 3
/
ATOMIC_SPECIES
Na 22.99 Na.upf
Fe 55.84 Fe.upf
Se 78.96 Se.upf
CELL_PARAMETERS angstrom
6.976 0.000 0.000
0.000 10.835 0.000
0.000 0.000 11.261
ATOMIC_POSITIONS crystal
Na 0.051 0.081 0.141
Na 0.051 0.419 0.141
Na 0.075 0.250 0.756
Na 0.425 0.750 0.256
Na 0.449 0.581 0.641
Na 0.449 0.919 0.641
Na 0.551 0.081 0.359
Na 0.551 0.419 0.359
Na 0.575 0.250 0.744
Na 0.925 0.750 0.244
Na 0.949 0.581 0.859
Na 0.949 0.919 0.859
Fe 0.046 0.127 0.471
Fe 0.046 0.373 0.471
Fe 0.454 0.627 0.971
Fe 0.454 0.873 0.971
Fe 0.546 0.127 0.029
Fe 0.546 0.373 0.029
Fe 0.954 0.627 0.529
Fe 0.954 0.873 0.529
Se 0.121 0.750 0.671
Se 0.172 0.555 0.377
Se 0.172 0.945 0.377
Se 0.187 0.750 0.039
Se 0.313 0.250 0.539
Se 0.328 0.055 0.877
Se 0.328 0.445 0.877
Se 0.379 0.250 0.171
Se 0.621 0.750 0.829
Se 0.672 0.555 0.123
Se 0.672 0.945 0.123
Se 0.687 0.750 0.461
Se 0.813 0.250 0.961
Se 0.828 0.055 0.623
Se 0.828 0.445 0.623
Se 0.879 0.250 0.329
```

## Properties
ΔE_f in eV/atom: -0.7698
Space-group type: Pnma (62)
E (MP2020) in eV/atom: -4.65
E in eV/cell: -159.727

***

DFT (PBE-GGA) results for a geometry-optimized In2Se structure. Values from VASP.

Cell and atoms, written as Quantum ESPRESSO input:
```
&SYSTEM
  ibrav = 0, nat = 24, ntyp = 2
/
ATOMIC_SPECIES
In 114.82 In.upf
Se 78.96 Se.upf
CELL_PARAMETERS angstrom
11.612 0.000 0.000
0.000 15.162 0.000
0.000 0.000 4.093
ATOMIC_POSITIONS crystal
In 0.087 0.122 0.000
In 0.094 0.640 0.500
In 0.192 0.492 0.000
In 0.247 0.761 0.000
In 0.253 0.261 0.500
In 0.308 0.992 0.500
In 0.406 0.140 0.000
In 0.413 0.622 0.500
In 0.587 0.378 0.500
In 0.594 0.860 0.000
In 0.692 0.008 0.500
In 0.747 0.739 0.500
In 0.753 0.239 0.000
In 0.808 0.508 0.000
In 0.906 0.360 0.500
In 0.913 0.878 0.000
Se 0.085 0.324 0.000
Se 0.153 0.931 0.000
Se 0.347 0.431 0.500
Se 0.415 0.824 0.500
Se 0.585 0.176 0.500
Se 0.653 0.569 0.500
Se 0.847 0.069 0.000
Se 0.915 0.676 0.000
```

## Properties
ΔE_f in eV/atom: -0.4025
Space-group type: Pnnm (58)
E (MP2020) in eV/atom: -3.40
E in eV/cell: -77.879

***

DFT (PBE-GGA) results for a geometry-optimized NdScSi structure. Values from VASP.

Cell and atoms, written as Quantum ESPRESSO input:
```
&SYSTEM
  ibrav = 0, nat = 6, ntyp = 3
/
ATOMIC_SPECIES
Nd 144.24 Nd.upf
Sc 44.96 Sc.upf
Si 28.09 Si.upf
CELL_PARAMETERS angstrom
-2.326 2.326 7.075
2.326 -2.326 7.075
2.326 2.326 -7.075
ATOMIC_POSITIONS crystal
Nd 0.141 0.141 0.000
Nd 0.859 0.859 0.000
Sc 0.389 0.389 0.000
Sc 0.611 0.611 0.000
Si 0.000 0.500 0.500
Si 0.500 0.000 0.500
```

## Properties
ΔE_f in eV/atom: -0.2478
E above lowest polymorph in meV per atom: 347
Space-group type: I4/mmm (139)
E (MP2020) in eV/atom: -5.76
E in eV/cell: -34.681

***

DFT (PBE-GGA) results for a geometry-optimized LiSbP2O7 structure. Values from VASP.

Cell and atoms, written as Quantum ESPRESSO input:
********
If you are considering adoption or fostering, then read this article to learn more about home study results.
I’ve often thought that a home study is the social service equivalent of a roller coaster ride at a theme park. Like a roller coaster, the home study process begins with anticipation and continues with lots of excitement, ups and downs, twists, and turns, surprises, and a few scary parts. However, in the end, you’re thinking, “Hey that wasn’t so bad. Let’s do it again.” The emotional toll a home study takes is well worth it in the end if it results in a foster or adoptive child being placed in your home.
That’s the way it was for me and my wife, Cindy. We have completed the home study process three times in our lives and felt like it was a roller coaster ride each time. But we didn’t give up, took advice, and trusted the process each time. The first time we entered the home study process was scary because we didn’t know what to expect. But by the third time, I had become a foster care licensed professional as well as an adoption social worker. So, I was writing home studies myself. I knew what it was like on the other side of things, and I knew what to expect. Like a person who rides roller coasters dozens of times, we knew when to expect the long drops. And when each study was finished, we were proud that the process was complete.
What is a home study?
A home study is a written summary of an investigation of a prospective foster or adoptive family. A social service agency or adoption agency is hired to write the actual home study. A good home study will give a snapshot of the background, lifestyle, and values of the family, as well as the health and safety of the physical home and property. In short, a home study shows whether a family is suitable to be a foster or adoptive family, and if so, it shows what type of child the family can best care for.
Depending on the purpose, a home study can take anywhere from 4 to 9 months to complete. It is a marathon, not a sprint. It will require lots of patience, transparency, growth, and flexibility. You will come into the process ready, willing, and able to learn about the foster and adoption process, but you will conclude the process by learning lots more than you ever wanted to know about yourself and your spouse if you are married.
Why do I need a home study?
“I have a nice home. I have the money. I live in a nice neighborhood. Why do I need a home study?” Good question. Imagine this: God forbid, you get into a horrible accident where you are no longer able to care for your children. If their caretakers are strangers, what would you want to know about them?
“What do they do for a living? How much do they earn? Are they in good health? What is their religion? Do they have experience with children?”
These and a host of other questions are ones you would want to know the answers to. Those are exactly the types of questions that are asked in a home study. Since many foster children have endured abuse, neglect, and abandonment, and because many international children who are adopted have endured war, poverty, and homelessness among other things, agencies want to ensure that their next home is absolutely safe. That takes time, effort, and due diligence. A home study is a perfect tool to summarize that due diligence.
A Full Quiver
For over 25 years, my wife and I adopted 6 children by various means in two different states. We have adopted through a private Christian agency, through foster care adoption, and privately. In each case, our home study was conducted differently. Let’s look at each path. When we first got married, we decided to adopt first and then to have biological children afterward. We thought that about three children in total were a good round number. Little did we know we would end up with eight children altogether, six adopted and two biological. Our quiver is certainly full.
– Private Christian Adoption We started out getting certified to adopt through a local Christian Agency in New Jersey. Christian agencies differ from non-sectarian agencies in that they have a Christian staff and slightly different application standards. But the pool of children who are available to adopt is open to all who are certified to adopt. This agency completed one home study that required an update with each adoption. During this home study, we did not have a specifically identified child, so it was open-ended. However, in the following two adoptions, we did have specific children in mind. Therefore, the home studies got more specific as we went along. We adopted 3 children through this agency before moving to Arizona.
– Private Adoption Our 4th adoption was a surprise. It was a child who came for respite and stayed for good. We were blessed to give her a forever home. This was a private adoption that was completed by the county courts because we could not afford to hire a private attorney. The county court was more than willing to complete the home study. The home study process was pretty simple and straightforward. The courts used the previous home study as a reference to complete this home study. The result was that we were approved to adopt a pretty little 7-year-old girl.
– Foster Care Adoption Finally, we adopted a sibling group of two from Arizona. The adoption home study process started as a foster care home study. Our 5th and 6th adopted children were first placed as foster children. Over time, parental rights were severed and adoption by us became the plan. We were ecstatic when our home study was approved by the courts. It was like the end of a marathon race. We were exhausted but satisfied we had reached our goal.
What ingredients go into a home study?
Before you bake a cake, you need to know what ingredients go into it. Otherwise, your masterpiece could turn out to be a disaster. The ingredients for a home study may vary depending on the state or municipality you are adopting through, and they will depend on whether you are completing an adoption or foster care home study.
– Background checks Before the home study process has started, the agency that is writing your home study will want to see if you have a criminal history. The most basic foundation of a forever home is the safety of the children and background checks assure that. Three different types of background checks may be performed to complete your home study:
1) Criminal background check – Every adult in your household will need to be fingerprinted to determine if there is any significant criminal history. This is only par for the course since most adoption agencies want to determine if the home they are placing the child in is safe.
2) Child Protective Services (CPS) check – Your social worker will want to know if you have ever had any substantiated allegations of abuse or neglect. You cannot proceed if you do.
3) Driving record – Foster/adoption agencies do not really need to know if you have a parking ticket. But, they do need to know if each adult household member is a safe driver. You, as an applicant may be above reproach, but is your roommate? Is your spouse?
– Pre-Service Training Perhaps you’ve thought, “I’ve already raised kids. Why do I need more training?” Good question. The fact is that kids who need to be fostered or adopted have experienced things that normal children have not including war, death of a parent, illness, abuse, or neglect. The parents need to be trauma-informed. They need to be prepared to deal with behaviors such as headbanging, self-harm, and running away. They also need to learn about diagnoses such as Attention Deficit Disorder, Reactive Attachment Disorder, and Autism. Even if you adopt an infant, have you been trained on how to care for Substance Exposed Newborns? You would do well to become as informed as possible. Be flexible, be available, and be teachable. It will come in handy later.
– Interviews Your social worker will interview you and your household members to ensure they have an accurate picture of the lifestyle, culture, values, heritage, culture, and principles that your family lives by. Biographical background information is collected. Marriage and relationship information is collected. Discipline may be discussed. Applicants need to understand, the interviewers are not looking for perfect families. They are not looking for flawless homes. They are looking for strengths as well as things that can be improved. Therefore, be open and honest. Every couple who has been married for any length of time disagrees with one another. So be candid about that. The more transparent you are, the better the adoption home study will look.
– Home Inspection This is not exactly a “white glove” test because social workers know that any home with kids is going to be messy. As a matter of fact, I would have red flags about any home that has kids in it and is without a mess. What a home inspector is looking for is health and safety. For example, to be in the middle of laundry is one thing, but to have moldy laundry is another. To have dirty dishes in the sink is one thing, but to have dishes that haven’t been washed in days is a health issue.
– Financial records You do not have to be rich to foster or adopt, however, you should be in good financial health. Be prepared to show pay stubs, bills, bankruptcy discharge papers, and/or foreclosure statements. This may seem very intrusive, but wouldn’t you want an adoptive child placed in a financially stable home? It would send up red flags if a child were placed in a home that was on the verge of eviction.
– Reference letters Your agency will need 3-5 people who know you that you can use as references to include in the home study. These people should be trustworthy and be prepared to complete the reference quickly. They should know you personally and should have been able to observe you interacting with children.
– Physician’s Statements Some states and/or agencies have age restrictions, but another restriction that states can have is health restrictions. In other words, age doesn’t matter but they must be in good health. This is important because a child’s well-being is connected to the health of their parents. Be cautioned that questions about mental illness, prescription medications, and treatment for substance abuse may be asked.
What are the possible home study results?
What are some of the possible home study results during the foster or adoption process? Well, results may vary from state to state and from agency to agency. See below:
........
# 1
NaCaSc3S6O24: optimized geometry, PBE.

The energy of formation from the pure elements comes out at -246.00 kJ/mol of atoms.

a = 8.8980 Å, b = 8.8980 Å, c = 23.3860 Å
α = 90.00°, β = 90.00°, γ = 120.00°
Fractional coordinates of all 105 atoms:
Sc 0.6667 0.3333 0.6814
S 0.9553 0.3306 0.5830
S 0.7032 0.0043 0.7476
O 0.0214 0.8143 0.6980
Sc 0.6667 0.3333 0.4822
O 0.1483 0.4792 0.8639
O 0.7121 0.1404 0.0328
O 0.7035 0.5449 0.5323
O 0.2352 0.0444 0.3010
Sc 0.0000 0.0000 0.1544
Sc 0.3333 0.6667 0.8097
Na 0.0000 0.0000 0.9972
S 0.3613 0.3274 0.0846
O 0.0266 0.8049 0.4148
Ca 0.0000 0.0000 0.8515
Na 0.6667 0.3333 0.8361
O 0.5208 0.6691 0.8639
S 0.9955 0.2989 0.2499
O 0.9720 0.1757 0.5929
O 0.5151 0.6431 0.5742
O 0.8767 0.3665 0.6333
O 0.2353 0.1910 0.7995
O 0.9557 0.7647 0.7995
O 0.8414 0.2965 0.5323
O 0.3364 0.4821 0.4700
O 0.1538 0.6847 0.7541
O 0.4283 0.2879 0.0328
O 0.6729 0.5185 0.2389
S 0.3492 0.3926 0.4183
O 0.3153 0.4691 0.7541
O 0.1457 0.6636 0.4700
O 0.7929 0.9786 0.6980
O 0.1892 0.9774 0.1997
O 0.8765 0.5222 0.1340
O 0.5309 0.8462 0.7541
O 0.8243 0.7964 0.5929
O 0.5143 0.8622 0.0782
Na 0.6667 0.3333 0.3334
S 0.3035 0.0045 0.2499
S 0.9661 0.6387 0.0846
O 0.3569 0.8720 0.5742
O 0.0401 0.2139 0.9185
O 0.4551 0.1586 0.5323
O 0.5025 0.8747 0.3659
O 0.9932 0.8157 0.0956
S 0.3011 0.2968 0.7476
O 0.0226 0.2118 0.1997
O 0.1739 0.9599 0.9185
O 0.4925 0.1194 0.9145
O 0.6757 0.1545 0.7374
O 0.1857 0.2071 0.6980
O 0.5110 0.3795 0.4229
O 0.7861 0.8261 0.9185
O 0.7783 0.9734 0.4148
S 0.6134 0.6668 0.9165
Ca 0.6667 0.3333 0.9816
O 0.5294 0.6837 0.2570
S 0.6074 0.9566 0.4183
O 0.1456 0.4813 0.9692
O 0.3357 0.8544 0.9692
S 0.0434 0.6508 0.4183
O 0.9556 0.1908 0.3010
O 0.6335 0.5102 0.6333
S 0.0534 0.3866 0.9165
O 0.1843 0.1775 0.0956
S 0.9957 0.6989 0.7476
O 0.8685 0.4890 0.4229
O 0.4789 0.3243 0.7374
S 0.6694 0.6248 0.5830
O 0.8455 0.5211 0.7374
O 0.4778 0.3543 0.1340
O 0.1280 0.4849 0.5742
S 0.7011 0.6965 0.2499
Ca 0.0000 0.0000 0.3569
O 0.1378 0.6521 0.0782
O 0.7882 0.8108 0.1997
O 0.6457 0.1235 0.1340
O 0.4898 0.1233 0.6333
O 0.5187 0.6643 0.9692
S 0.6726 0.0339 0.0846
O 0.1543 0.4706 0.2570
O 0.8806 0.3732 0.9145
Sc 0.0000 0.0000 0.6479
O 0.8090 0.0443 0.7995
O 0.8596 0.5717 0.0328
Sc 0.6667 0.3333 0.1801
Sc 0.3333 0.6667 0.0231
S 0.3752 0.0447 0.5830
O 0.5179 0.8543 0.4700
O 0.8225 0.0068 0.0956
Sc 0.3333 0.6667 0.3126
O 0.3479 0.4857 0.0782
O 0.1951 0.2217 0.4148
O 0.6268 0.5075 0.9145
O 0.3722 0.4975 0.3659
O 0.2036 0.0280 0.5929
O 0.1253 0.6278 0.3659
S 0.3332 0.9466 0.9165
O 0.4815 0.1544 0.2389
O 0.6205 0.1315 0.4229
Sc 0.3333 0.6667 0.5228
O 0.8092 0.7648 0.3010
O 0.8456 0.3271 0.2389
O 0.3163 0.8457 0.2570
O 0.3309 0.8517 0.8639

***

# 2
NaCaScS3O12: optimized geometry, PBE.

The energy of formation from the pure elements comes out at -242.29 kJ/mol of atoms.

a = 8.9724 Å, b = 8.9724 Å, c = 23.8416 Å
α = 90.00°, β = 90.00°, γ = 120.00°
Fractional coordinates of all 108 atoms:
O 0.6937 0.1498 0.0326
S 0.6241 0.6577 0.9170
........
– Approved The most widely accepted result is approved. This means that the applicant has met all requirements, passed all background checks, and completed all training. It also means that the agency gives its stamp of approval to the applicant to be a foster/adoptive parent. The magnitude of receiving approved home study results cannot be understated because the agency is putting its reputation on the line. This also means the applicant can now move to the next steps which are child matching and placement of a child, developing and placing an online adoption profile, or transferring the home study to another agency if necessary. Approved home study results are magnificent.
– Approved with revisions The most common result is approval with revisions. This means that there may need to be corrections or additional investigation needs to take place.
– Denied A rare result is the “denied” home study. This rarely happens because it is usually determined early on in the home study process whether an applicant qualifies or not. For example, criminal history, a negative reference, or an unsafe or unhealthy home facility are all reasons why an applicant may not pass a home study. In some cases, a home study may not be denied, it may simply be placed on hold until personal circumstances can be resolved. Consult with your agency representative in case you run into roadblocks to brainstorm various options.
We’ve always had positive results from our home studies. Each time our social worker informed us that our home study was approved, we were elated, We felt an overwhelming feeling of joy and pride, and relief. The reality is that an approved home study is not the end but the beginning. It marks the beginning of your foster or adoptive journey and could lead to a lifelong relationship with a child who needs you. I cannot overstate the enormity of that accomplishment. Yes, the home study process is a roller coaster ride, but it is well worth the ride.
Are you ready to pursue adoption? Visit or call 1-800-ADOPT-98 to connect with compassionate, nonjudgmental adoption specialists who can help you get started on the journey of a lifetime.